Tag: headphones

  • How to get a Mac to stop trying to play audio through an HDMI monitor that doesn’t have speakers

    How has it come to this? It’s 2020, and on top of everything else (a global pandemic, an incompetent and megalomaniacal U.S. president, police in my neighborhood murdering Black people, riots in my neighborhood over police murdering Black people, climate change-induced forest fires destroying California, murder hornets), my MacBook Pro has suddenly decided that it must try to send audio output to my HDMI monitor whenever it’s plugged in, even though the monitor doesn’t have speakers, and I have a set of speakers plugged into the headphone jack.

    It’s a completely asinine scenario, and the solution is even more asinine, but it does seem to work. It also maybe just fixes one annoying issue I always had with my speaker setup: I would have to turn the Mac’s volume all the way up to get adequate output to the speakers, which have their own volume control.

    What’s the solution? Create an aggregate device. What’s that? I’ll show you.

    First go into Applications > Utilities and open Audio MIDI Setup. Hopefully you’ve never had to open this little utility before, because I doubt anyone who works in interface design at Apple ever has. (ZING!)

    You’ll see something like this… but without the last item, which is the aggregate device I already created, much like a TV chef who already has a finished dish waiting in the oven.

    That “VS248” is my HDMI monitor. “External Headphones” is my speakers, plugged into the MacBook Pro’s headphone jack. Then of course there are the internal microphone and speakers of the Mac itself.

    Click the little plus sign at the bottom left, and choose Create Aggregate Device. Click the checkboxes under Use for “External Headphones” and your monitor. That will make them appear in Subdevices above. When I did this, it had VS248 on the left and External Headphones on the right, which was assigning the monitor to channels 1 and 2, and the headphones to channels 3 and 4. You can drag-and-drop the names of the devices to change the order. Move your External Headphones to the left so their color is assigned to channels 1 and 2. You can also give this aggregate device a distinct name by clicking its name in the left sidebar and typing in what you want. I cleverly called mine “Headphones and VS248.”

    That’s it! Now close this window, open System Preferences, and click on Sound > Output. Select your new aggregate device for sound output, and you should be all set.

    One thing I noticed about this that was initially annoying, but then I realized is actually a good thing! was that now the volume control and mute “buttons” on my MacBook Pro’s Touch Bar were grayed out. Damn it! Oh, wait. That’s actually fine, because this aggregate device is automatically setting the output on the headphone jack to maximum, allowing me to easily control the volume in the speakers with the speakers’ volume knob. I no longer have to manually turn the Mac up to maximum. And, hopefully, although I haven’t tried it yet, this also means that when I take my Mac away from my desk and plug my earbuds directly into the headphone jack, I won’t have to remember to adjust the volume before blowing out my eardrums! The Mac should remember the optimal volume I already have set for when the sound output is External Headphones-only.

=====
Below is a crystal of CaMnSb2 relaxed with PBEsol, with properties calculated at the meta-GGA SCAN level.

Computed properties:
Uncorrected energy in Ry/atom: -1.909
Total magnetization in μB/f.u.: 3.94

a = 3.5380 Å, b = 3.5380 Å, c = 7.7456 Å
α = 90.00°, β = 90.00°, γ = 105.10°
With the nearest neighbours (Å) after each atom.
Atoms (fractional coordinates):
Sb 0.0000 0.0000 0.2123  2 Mn 2.71
Sb 0.0000 0.0000 0.7877  2 Mn 2.71
Ca 0.5000 0.5000 0.5000  4 Sb 3.10
Mn 0.5000 0.5000 0.0000  4 Sb 2.71


Below is a crystal of CaMnSb4 relaxed with PBEsol, with properties calculated at the meta-GGA SCAN level.

Computed properties:
Uncorrected energy in Ry/atom: -2.162
Total magnetization in μB/f.u.: 4.92

a = 6.1766 Å, b = 6.1766 Å, c = 6.1766 Å
α = 60.00°, β = 60.00°, γ = 60.00°
With the nearest neighbours (Å) after each atom.
Atoms (fractional coordinates):
Sb 0.3743 0.3743 0.3743  6 Sb 3.07-3.10
Sb 0.3743 0.3743 0.8770  6 Sb 3.07-3.10
Sb 0.8770 0.3743 0.3743  6 Sb 3.07-3.10
Sb 0.3743 0.8770 0.3743  6 Sb 3.07-3.10
Ca 0.7500 0.7500 0.7500  12 Sb 3.62, 4 Mn 3.78
Mn 0.0000 0.0000 0.0000  12 Sb 3.62, 4 Ca 3.78


Below is a crystal of CaMnSb2 relaxed with PBEsol, with properties calculated at the meta-GGA SCAN level.

Computed properties:
Uncorrected energy in Ry/atom: -1.905
Total magnetization in μB/f.u.: 3.91

a = 5.0946 Å, b = 5.0946 Å, c = 5.0946 Å
α = 60.00°, β = 60.00°, γ = 60.00°
With the nearest neighbours (Å) after each atom.
Atoms (fractional coordinates):
Sb 0.2500 0.2500 0.2500  4 Mn 3.12, 4 Ca 3.12
Sb 0.7500 0.7500 0.7500  4 Mn 3.12, 4 Ca 3.12
Ca 0.0000 0.0000 0.0000  8 Sb 3.12
Mn 0.5000 0.5000 0.5000  8 Sb 3.12

* * * * *

## P
PmScBe2: optimized geometry, PBE.

Unit cell a=6.7022 b=6.7022 c=6.7022 alpha=90.00 beta=90.00 gamma=90.00
Closest atoms and distances in Å follow each position.
Fractional positions:
Pm1 0.0000 0.0000 0.0000  8 Be 2.90
Pm2 0.0000 0.5000 0.5000  8 Be 2.90
Pm3 0.5000 0.0000 0.5000  8 Be 2.90
Pm4 0.5000 0.5000 0.0000  8 Be 2.90
Sc1 0.0000 0.0000 0.5000  8 Be 2.90
Sc2 0.0000 0.5000 0.0000  8 Be 2.90
Sc3 0.5000 0.0000 0.0000  8 Be 2.90
Sc4 0.5000 0.5000 0.5000  8 Be 2.90
Be1 0.2500 0.2500 0.2500  4 Pm 2.90, 4 Sc 2.90
Be2 0.2500 0.2500 0.7500  4 Pm 2.90, 4 Sc 2.90
Be3 0.2500 0.7500 0.2500  4 Pm 2.90, 4 Sc 2.90
Be4 0.2500 0.7500 0.7500  4 Sc 2.90, 4 Pm 2.90
Be5 0.7500 0.2500 0.2500  4 Pm 2.90, 4 Sc 2.90
Be6 0.7500 0.2500 0.7500  4 Sc 2.90, 4 Pm 2.90
Be7 0.7500 0.7500 0.2500  4 Sc 2.90, 4 Pm 2.90
Be8 0.7500 0.7500 0.7500  4 Pm 2.90, 4 Sc 2.90

Computed properties:
Mass density (g/cm3): 4.59

## Q
PmScBe2: optimized geometry, PBE.

Unit cell a=3.3416 b=3.3416 c=6.6679 alpha=90.00 beta=90.00 gamma=90.00
Closest atoms and distances in Å follow each position.
Fractional positions:
Pm1 0.0000 0.0000 0.0000  8 Be 3.11, 2 Sc 3.33, 4 Pm 3.34
Sc1 0.0000 0.0000 0.5000  8 Be 2.70
Be1 0.5000 0.5000 0.3035  1 Be 2.62, 4 Sc 2.70
Be2 0.5000 0.5000 0.6965  1 Be 2.62, 4 Sc 2.70

Computed properties:
Mass density (g/cm3): 4.64
=====

  • The quest for audiophile headphones

    Although I’m a musician with (I think) a fairly good ear, I’ve spent most of my life listening to music on cheap equipment, mostly because I couldn’t bring myself to do something so foolish as throw $200 at a pair of headphones. But the more I produce my own music and strive for sonic perfection, the more incongruous it becomes that I’m mastering my recordings on a pair of $20 Sony earbuds. (Although I have to say, they’re pretty decent for $20 earbuds… good enough that I own three pairs of them!)

    Anyway, the stars aligned this month for me to finally take the plunge and foolishly throw that $200 at a pair of headphones. Initially I succumbed to both my impulsive nature and a fair bit of effective marketing and bought a pair of Beats by Dr. Dre Solo HD headphones for $200 at the Apple Store. Although I was impressed with some of the details of the product, it wasn’t long before I realized that more care had been put into the packaging and trivial aspects like a detachable red cord than into what really matters: a balanced sound and comfortable design. Put simply, the things sounded muddy and gave me a splitting headache after 20 minutes of use. Seeing a parade of music industry tools on American Idol gratuitously sporting Beats headphones (among other branded accessories like baseball caps) was the nail in the coffin.

    Fortunately, the Apple Store has a good return policy, and a week after buying them I had brought them back for a full refund. (No restocking fee!) And now I had $200 burning a hole in my pocket again. But this time I decided to do my research. I decided to go with Sennheiser, and I studied their various offerings both on their own website and on Amazon.

    Now is a good time to buy Sennheiser headphones on Amazon. They’ve recently updated their product line, and Amazon seems to have ample inventory of the previous generation, which they’re selling at massive discounts. I settled on the HD555 audiophile headphones, as a nice balance between quality and price. Only $85!

    But, after I placed my order, I began to discover how little I know about audiophile headphones. The HD555s have open cans, meaning there’s an outer grille rather than a solid enclosure, which allows air in to help the speakers vibrate, but therefore it also lets sound in… and out. These are not good headphones for private listening in a public place, or for drowning out external noises. So I began exploring other options. I found that Amazon also offered the closed-can Sennheiser HD448s for $100. Since I was already $115 ahead on the deal, I decided to go ahead and order both. I figured I’d try them both out, see which ones I liked best, and return the others.

    They arrived today, and it didn’t take long to make my decision. I expected… no, hoped… that I would prefer the closed HD448s, because I prefer the idea of closed cans. But in comparing them I discovered just how many other factors are in play.

    From the moment of opening the package, it’s clear that the HD555s are higher-end than the HD448s. The HD555s come in a cleverly designed box that opens easily by pulling a tab at the top. The HD448s are packaged in the dreaded plastic “blister pack”… the kind of packaging that can only be opened by utterly destroying it, often slicing your fingers on the razor-sharp edges that such destruction inevitably produces.

    The difference in build quality between the HD555s and the HD448s is almost as immediately apparent. While both are made of plastic, the HD555s feel solid, whereas the HD448s feel like they’ll shatter into a thousand brittle pieces if you look at them too intently. The HD555s have a thick, solid cord, and the HD448s have a thin, flimsy one. Most critically, the earpiece and headband cushions on the HD555s are velour. (I had read that in a review but didn’t believe it until I saw it.) Contrast that with the shockingly thin plastic film wrapping on the foam cushions of the HD448s. I owned headphones with cushions made of this material as a kid, and all I remember about them is how quickly this film dried out, cracked and flaked off all over everything, exposing the foam rubber underneath, which itself quickly began to break off.

    Another big difference in the design of these two sets is how the earpieces cover your ears. A major problem I had with the Beats was that they didn’t cover the entire ear… they pressed against the ear, which provided a nice seal to block outside noise, but it caused even more pressure on my ears (and specifically, pressed my ears against the frames of my glasses) in a way that exacerbated the headache situation. The HD448s have a similar on-ear design, whereas the earpieces of the HD555s are big enough to go completely around even my big ears, providing greater comfort. (Honestly, though, even the HD555s are proving to create some discomfort after an hour-plus of wear, but I suspect that will improve after they’re broken in a bit.)

    Oh, wait… I haven’t even compared the sound between the two sets yet. I’ll give the HD448s credit… they don’t sound terrible. In fact, they sound pretty decent. But again, there’s no comparison. Side by side with the HD555s, the HD448s have a thin, flat sound, with a muddy midrange and poor stereo separation. The HD555s by comparison are sparkling with detail and present an astounding stereo soundscape.

    In all, it took me more time to write this blog post than it did to compare the two headphones and make an unambiguous decision as to which set I would keep. As I write this, the HD555s are on my head, and the HD448s are already packaged up for return shipment to Amazon.

    Before I go, I should note that there’s a lot of talk online comparing the HD555s (the bottom end of Sennheiser’s audiophile line) with the considerably more expensive HD595s. Some people claim that by partially disassembling the HD555s and removing an adhesive foam strip inside each can, you can dramatically improve their bass response, effectively turning them into HD595s. (There’s even a video guide to the modification.) Others respond that the foam strip is not in there to simply “cripple” the sound of the cheaper headphones (which use the same drivers as their more expensive cousins), but that it in fact protects the cones from rattling against the grille on the outside of the cans. Personally, I think the HD555s sound great as they are, though I admit I haven’t heard the HD595s for a comparison. But I refuse to believe Sennheiser would only put the foam in to make these sound worse so they can sell them at a cheaper price. There’s an engineering reason for the foam. Leave it in.